Input >
- - -
Entry 1:
Theoretical powder XRD pattern
Compound: K2ZrSi2O7
Radiation: copper Kα
Structure: the GGA-PBE geometry in the Materials Project
Neutral-atom scattering factors, no anomalous dispersion.

Crystal structure
a = 9.708 Å, b = 5.645 Å, c = 14.356 Å
α = 90.00°, β = 116.87°, γ = 90.00°
Element x y z (fractional)
1 K 0.017 0.243 0.402
2 K 0.017 0.257 0.902
3 K 0.463 0.246 0.571
4 K 0.463 0.254 0.071
5 K 0.537 0.746 0.929
6 K 0.537 0.754 0.429
7 K 0.983 0.743 0.098
8 K 0.983 0.757 0.598
9 Zr 0.265 0.243 0.770
10 Zr 0.265 0.257 0.270
11 Zr 0.735 0.743 0.730
12 Zr 0.735 0.757 0.230
13 Si 0.164 0.748 0.386
14 Si 0.164 0.752 0.886
15 Si 0.325 0.736 0.629
16 Si 0.325 0.764 0.129
17 Si 0.675 0.236 0.871
18 Si 0.675 0.264 0.371
19 Si 0.836 0.248 0.114
20 Si 0.836 0.252 0.614
21 O 0.023 0.246 0.685
22 O 0.023 0.254 0.185
23 O 0.186 0.718 0.008
24 O 0.186 0.782 0.508
25 O 0.243 0.004 0.880
26 O 0.243 0.496 0.380
27 O 0.248 0.525 0.862
28 O 0.248 0.975 0.362
29 O 0.291 0.024 0.165
30 O 0.291 0.476 0.665
31 O 0.298 0.552 0.196
32 O 0.298 0.948 0.696
33 O 0.492 0.749 0.128
34 O 0.492 0.751 0.628
35 O 0.508 0.249 0.372
36 O 0.508 0.251 0.872
37 O 0.702 0.052 0.304
38 O 0.702 0.448 0.804
39 O 0.709 0.524 0.335
40 O 0.709 0.976 0.835
41 O 0.752 0.025 0.638
42 O 0.752 0.475 0.138
43 O 0.757 0.504 0.620
44 O 0.757 0.996 0.120
45 O 0.814 0.218 0.492
46 O 0.814 0.282 0.992
47 O 0.977 0.746 0.815
48 O 0.977 0.754 0.315

The 12 most intense peaks (2θ from 5° to 70°), by angle:
two_theta, I (rel.)
13.83, 24
20.41, 35
20.51, 17
26.05, 41
29.61, 100
31.70, 34
31.88, 57
41.50, 27
41.72, 12
53.96, 14
56.58, 11
66.62, 12

---

Entry 2:
Theoretical powder XRD pattern
Compound: Ca3Sn3As4O16
Radiation: copper Kα
Structure: the GGA-PBE geometry in the Materials Project
Neutral-atom scattering factors, no anomalous dispersion.

Crystal structure
a = 9.818 Å, b = 5.540 Å, c = 18.088 Å
α = 90.00°, β = 119.44°, γ = 90.00°
Element x y z (fractional)
1 Ca 0.000 0.000 0.000
2 Ca 0.000 0.500 0.500
3 Ca 0.185 0.067 0.256
4 Ca 0.185 0.433 0.756
5 Ca 0.815 0.567 0.244
6 Ca 0.815 0.933 0.744
7 Sn 0.448 0.519 0.635
8 Sn 0.448 0.981 0.135
9 Sn 0.500 0.000 0.500
10 Sn 0.500 0.500 0.000
11 Sn 0.552 0.019 0.865
12 Sn 0.552 0.481 0.365
13 As 0.226 0.528 0.388
14 As 0.226 0.972 0.888
15 As 0.254 0.530 0.143
16 As 0.254 0.970 0.643
17 As 0.746 0.030 0.357
18 As 0.746 0.470 0.857
19 As 0.774 0.028 0.112
20 As 0.774 0.472 0.612
21 O 0.067 0.087 0.800
22 O 0.067 0.413 0.300
23 O 0.113 0.155 0.574
24 O 0.113 0.345 0.074
25 O 0.194 0.676 0.646
26 O 0.194 0.824 0.146
27 O 0.214 0.534 0.478
28 O 0.214 0.966 0.978
29 O 0.284 0.692 0.871
30 O 0.284 0.808 0.371
31 O 0.329 0.111 0.741
32 O 0.329 0.389 0.241
33 O 0.380 0.169 0.905
34 O 0.380 0.331 0.405
35 O 0.412 0.585 0.125
36 O 0.412 0.915 0.625
37 O 0.588 0.085 0.375
38 O 0.588 0.415 0.875
39 O 0.620 0.669 0.595
40 O 0.620 0.831 0.095
41 O 0.671 0.611 0.759
42 O 0.671 0.889 0.259
43 O 0.716 0.192 0.629
44 O 0.716 0.308 0.129
45 O 0.786 0.034 0.022
46 O 0.786 0.466 0.522
47 O 0.806 0.176 0.854
48 O 0.806 0.324 0.354
49 O 0.887 0.655 0.926
50 O 0.887 0.845 0.426
51 O 0.933 0.587 0.700
52 O 0.933 0.913 0.200

The 12 most intense peaks (2θ from 5° to 70°), by angle:
two_theta, I (rel.)
10.35, 86
21.32, 19
21.92, 26
22.58, 28
25.15, 100
28.23, 21
28.85, 75
29.70, 44
31.80, 74
32.32, 55
46.10, 21
55.57, 29

---

Copy entry 1 word for word.
Theoretical powder XRD pattern
Compound: K2ZrSi2O7
Radiation: copper Kα
Structure: the GGA-PBE geometry in the Materials Project
Neutral-atom scattering factors, no anomalous dispersion.

Crystal structure
a = 9.708 Å, b = 5.645 Å, c = 14.356 Å
α = 90.00°, β = 116.87°, γ = 90.00°
Element x y z (fractional)
1 K 0.017 0.243 0.402
2 K 0.017 0.257 0.902
3 K 0.463 0.246 0.571
4 K 0.463 0.254 0.071
5 K 0.537 0.746 0.929
6 K 0.537 0.754 0.429
7 K 0.983 0.743 0.098
8 K 0.983 0.757 0.598
9 Zr 0.265 0.243 0.770
10 Zr 0.265 0.257 0.270
11 Zr 0.735 0.743 0.730
12 Zr 0.735 0.757 0.230
13 Si 0.164 0.748 0.386
- - -

Work order >
The reader should copy the lines earlier on verbatim.

Done >
Entry 1:
Theoretical powder XRD pattern
Compound: K2ZrSi2O7
Radiation: copper Kα
Structure: the GGA-PBE geometry in the Materials Project
Neutral-atom scattering factors, no anomalous dispersion.

Crystal structure
a = 9.708 Å, b = 5.645 Å, c = 14.356 Å
α = 90.00°, β = 116.87°, γ = 90.00°
Element x y z (fractional)
1 K 0.017 0.243 0.402
2 K 0.017 0.257 0.902
3 K 0.463 0.246 0.571
4 K 0.463 0.254 0.071
5 K 0.537 0.746 0.929
6 K 0.537 0.754 0.429
7 K 0.983 0.743 0.098
8 K 0.983 0.757 0.598
9 Zr 0.265 0.243 0.770
10 Zr 0.265 0.257 0.270
11 Zr 0.735 0.743 0.730
12 Zr 0.735 0.757 0.230
13 Si 0.164 0.748 0.386
14 Si 0.164 0.752 0.886
15 Si 0.325 0.736 0.629
16 Si 0.325 0.764 0.129
17 Si 0.675 0.236 0.871
18 Si 0.675 0.264 0.371
19 Si 0.836 0.248 0.114
20 Si 0.836 0.252 0.614
21 O 0.023 0.246 0.685
22 O 0.023 0.254 0.185
23 O 0.186 0.718 0.008
24 O 0.186 0.782 0.508
25 O 0.243 0.004 0.880
26 O 0.243 0.496 0.380
27 O 0.248 0.525 0.862
28 O 0.248 0.975 0.362
29 O 0.291 0.024 0.165
30 O 0.291 0.476 0.665
31 O 0.298 0.552 0.196
32 O 0.298 0.948 0.696
33 O 0.492 0.749 0.128
34 O 0.492 0.751 0.628
35 O 0.508 0.249 0.372
36 O 0.508 0.251 0.872
37 O 0.702 0.052 0.304
38 O 0.702 0.448 0.804
39 O 0.709 0.524 0.335
40 O 0.709 0.976 0.835
41 O 0.752 0.025 0.638
42 O 0.752 0.475 0.138
43 O 0.757 0.504 0.620
44 O 0.757 0.996 0.120
45 O 0.814 0.218 0.492
46 O 0.814 0.282 0.992
47 O 0.977 0.746 0.815
48 O 0.977 0.754 0.315

The 12 most intense peaks (2θ from 5° to 70°), by angle:
two_theta, I (rel.)
13.83, 24
20.41, 35
20.51, 17
26.05, 41
29.61, 100
31.70, 34
31.88, 57
41.50, 27
41.72, 12
53.96, 14
56.58, 11
66.62, 12

---

Entry 2:
Theoretical powder XRD pattern
Compound: Ca3Sn3As4O16
Radiation: copper Kα
Structure: the GGA-PBE geometry in the Materials Project
Neutral-atom scattering factors, no anomalous dispersion.

Crystal structure
a = 9.818 Å, b = 5.540 Å, c = 18.088 Å
α = 90.00°, β = 119.44°, γ = 90.00°
Element x y z (fractional)
1 Ca 0.000 0.000 0.000
2 Ca 0.000 0.500 0.500
3 Ca 0.185 0.067 0.256
4 Ca 0.185 0.433 0.756
5 Ca 0.815 0.567 0.244
6 Ca 0.815 0.933 0.744
7 Sn 0.448 0.519 0.635
8 Sn 0.448 0.981 0.135
9 Sn 0.500 0.000 0.500
10 Sn 0.500 0.500 0.000
11 Sn 0.552 0.019 0.865
12 Sn 0.552 0.481 0.365
13 As 0.226 0.528 0.388
14 As 0.226 0.972 0.888
15 As 0.254 0.530 0.143
16 As 0.254 0.970 0.643
17 As 0.746 0.030 0.357
18 As 0.746 0.470 0.857
19 As 0.774 0.028 0.112
20 As 0.774 0.472 0.612
21 O 0.067 0.087 0.800
22 O 0.067 0.413 0.300
23 O 0.113 0.155 0.574
24 O 0.113 0.345 0.074
25 O 0.194 0.676 0.646
26 O 0.194 0.824 0.146
27 O 0.214 0.534 0.478
28 O 0.214 0.966 0.978
29 O 0.284 0.692 0.871
30 O 0.284 0.808 0.371
31 O 0.329 0.111 0.741
32 O 0.329 0.389 0.241
33 O 0.380 0.169 0.905
34 O 0.380 0.331 0.405
35 O 0.412 0.585 0.125
36 O 0.412 0.915 0.625
37 O 0.588 0.085 0.375
38 O 0.588 0.415 0.875
39 O 0.620 0.669 0.595
40 O 0.620 0.831 0.095
41 O 0.671 0.611 0.759
42 O 0.671 0.889 0.259
43 O 0.716 0.192 0.629
44 O 0.716 0.308 0.129
45 O 0.786 0.034 0.022
46 O 0.786 0.466 0.522
47 O 0.806 0.176 0.854
48 O 0.806 0.324 0.354
49 O 0.887 0.655 0.926
50 O 0.887 0.845 0.426
51 O 0.933 0.587 0.700
52 O 0.933 0.913 0.200

The 12 most intense peaks (2θ from 5° to 70°), by angle:
two_theta, I (rel.)
10.35, 86
21.32, 19
21.92, 26
22.58, 28
25.15, 100
28.23, 21
28.85, 75
29.70, 44
31.80, 74
32.32, 55
46.10, 21
55.57, 29

---

Copy entry 1 word for word.
Theoretical powder XRD pattern
Compound: K2ZrSi2O7
Radiation: copper Kα
Structure: the GGA-PBE geometry in the Materials Project
Neutral-atom scattering factors, no anomalous dispersion.

Crystal structure
a = 9.708 Å, b = 5.645 Å, c = 14.356 Å
α = 90.00°, β = 116.87°, γ = 90.00°
Element x y z (fractional)
1 K 0.017 0.243 0.402
2 K 0.017 0.257 0.902
3 K 0.463 0.246 0.571
4 K 0.463 0.254 0.071
5 K 0.537 0.746 0.929
6 K 0.537 0.754 0.429
7 K 0.983 0.743 0.098
8 K 0.983 0.757 0.598
9 Zr 0.265 0.243 0.770
10 Zr 0.265 0.257 0.270
11 Zr 0.735 0.743 0.730
12 Zr 0.735 0.757 0.230
13 Si 0.164 0.748 0.386